2014-05-12 88 views

這裏是問題: 我試圖在類的窗簾方法中觸發事件。 例如,我得到了一個名爲clMage的類,它從clUnits繼承,並且獲得了公共方法attMagicMissle(clUnit aU)。 那麼這裏是爲clUnits聲明代碼:NullReferenceExeption在事件觸發時未處理

public class clUnits 
     public int iHitPoints { get; set; } 
     public int iDamage { get; set; } 
     public ArmorType unitArmor { get; set; } 


public class clMage : clUnits 
     public event evtDamageDone damageDealtToSoldier; 
     public event evtDamageDone damageDealtToArcher; 
     public event evtDamageDone damageDealtToMage; 

     public clUnits currentTarget { get; set; } 

     public AttackType mageAttack { get; set; } 
     public clMage(int iHP, int iDamage, AttackType atType, ArmorType arType) 
      this.iHitPoints = iHP; 
      this.iDamage = iDamage; 
      this.mageAttack = atType; 
      this.unitArmor = arType; 

     public int attMagicMissle(clUnits aU) 
      int iDamageDeals = 0; 
      currentTarget = aU; 

      switch (currentTarget.unitArmor) 
       case ArmorType.None: 
         iDamageDeals = iDamage * 2; 

      case ArmorType.Heavy: 
        iDamageDeals = Convert.ToInt32(iDamage * 1.5); 
        this.damageDealtToSoldier(currentTarget); // Here is the NullReferenceExeption problem starts 
      case ArmorType.Medium: 
        iDamageDeals = Convert.ToInt32(iDamage * 0.5); 
       } break; 
      case ArmorType.Light: 
        iDamageDeals = iDamage; 
       } break; 

     return iDamageDeals; 


public delegate int Attack(clUnits aUnit); 
    public delegate void evtDamageDone(object aUnit); 
    public enum AttackType { None, Melee, Range, Mage } 
    public enum ArmorType { None, Heavy, Medium, Light} 
    class Program 
     static void Main(string[] args) 
      Attack Strikes; 
      clWarrior theSoldier = new clWarrior(750, 75, AttackType.Melee, ArmorType.Heavy); 
      clArcher theArcher = new clArcher(500, 100, AttackType.Range, ArmorType.Medium); 
      clMage theMage = new clMage(250, 150, AttackType.Mage, ArmorType.Light); 

      // Mage actions 
      Console.WriteLine("The mage: "); 
      Strikes = theMage.attMagicMissle; 
      Console.WriteLine("Attack hase damage = {0} attacks the soldier for {1} damage!", theMage.iDamage, Strikes(theSoldier)); 
      Console.WriteLine("Attack hase damage = {0} attacks the archer for {1} damage!", theMage.iDamage, Strikes(theArcher)); 
      Console.WriteLine("Attack hase damage = {0} attacks the mage for {1} damage!", theMage.iDamage, Strikes(theMage)); 

      // Archer actions 
      Console.WriteLine("The archer: "); 
      Strikes = theArcher.attArrowShot; 
      Console.WriteLine("Attack hase damage = {0} attacks the soldier for {1} damage!", theArcher.iDamage, Strikes(theSoldier)); 
      Console.WriteLine("Attack hase damage = {0} attacks the archer for {1} damage!", theArcher.iDamage, Strikes(theArcher)); 

      Console.WriteLine("Attack hase damage = {0} attacks the mage for {1} damage!", theArcher.iDamage, Strikes(theMage)); 

      // Soldier actions 
      Console.WriteLine("The soldier: "); 
      Strikes = theSoldier.attSwordSlash; 
      Console.WriteLine("Attack hase damage = {0} attacks the soldier for {1} damage!", theSoldier.iDamage, Strikes(theSoldier)); 
      Console.WriteLine("Attack hase damage = {0} attacks the archer for {1} damage!", theSoldier.iDamage, Strikes(theArcher)); 
      Console.WriteLine("Attack hase damage = {0} attacks the mage for {1} damage!", theSoldier.iDamage, Strikes(theMage)); 

好吧... 我坐着它已經很長一段時間了(9小時)主要在網上衝浪和stackoverflow,但我只是無法得到爲什麼在評論線爲CL法師它給了我這個錯誤,因此無法理解如何解決它!


幾乎'NullReferenceException'的所有情況都是一樣的。請參閱「[什麼是.NET一個NullReferenceException?](http://stackoverflow.com/questions/4660142/what-is-a-nullreferenceexception-in-net)」獲得一些提示。 –


建議:你不必用'cl'將所有類加上前綴。沒有什麼特別的類,他們需要一個特殊的前綴。它只是讓你的代碼更不易讀。 –


Thx鏈接閱讀... –

Quantum chemistry results, as found in the file:
........
A cluster of 2 separate species, C12H21N2 in total, computed with the ωB97M-V functional and the def2-TZVPD basis.

Positions of all 35 atoms, in Å:
C1 0.044 1.596 -2.588
N1 0.767 1.603 -1.311
C2 2.211 1.600 -1.354
C3 2.926 0.397 -1.374
C4 4.304 0.399 -1.399
C5 5.001 1.596 -1.406
C6 4.308 2.796 -1.386
C7 2.930 2.801 -1.360
C8 0.087 1.638 -0.142
H1 0.752 1.595 -3.414
H2 -0.581 0.709 -2.671
H3 -0.585 2.479 -2.679
H4 2.381 -0.530 -1.360
H5 4.846 -0.533 -1.405
H6 6.080 1.595 -1.425
H7 4.852 3.726 -1.384
H8 2.387 3.729 -1.335
H9 0.626 1.650 0.781
H10 -0.981 1.650 -0.117
C9 -4.865 -2.430 2.426
C10 -3.452 -1.894 2.606
C11 -2.593 -2.071 1.352
C12 -1.170 -1.548 1.514
N2 -0.367 -1.737 0.317
H11 -5.478 -2.302 3.323
H12 -5.377 -1.922 1.606
H13 -4.855 -3.496 2.188
H14 -3.481 -0.831 2.882
H15 -2.963 -2.391 3.455
H16 -2.561 -3.131 1.073
H17 -3.074 -1.569 0.504
H18 -1.192 -0.485 1.784
H19 -0.687 -2.062 2.355
H20 -0.802 -1.283 -0.478
H21 0.562 -1.342 0.421

Cartesian forces, eV/Å:
C -0.3 0.0 -0.6
N -2.3 0.2 3.7
C 1.8 0.0 0.4
C -1.1 0.2 0.0
C 0.2 0.2 0.0
C -0.1 0.0 0.0
C 0.2 -0.2 0.0
C -1.1 -0.2 0.0
C 2.6 -0.3 -3.8
H 0.1 0.0 0.2
H 0.0 -0.1 0.1
H 0.0 0.0 0.1
H -0.1 -0.3 0.0
H 0.0 -0.2 0.0
H 0.1 0.0 0.0
H 0.0 0.2 0.0
H -0.1 0.3 0.0
H 0.5 0.0 0.3
H -0.6 0.0 -0.4
C -0.1 -0.1 0.0
C 0.2 0.2 0.1
C 0.1 -0.1 -0.1
C -0.1 0.2 0.5
N 0.2 0.0 -0.4
H 0.1 0.0 -0.1
H 0.0 0.0 0.0
H 0.0 0.0 0.0
H -0.1 -0.1 -0.1
H -0.1 0.0 -0.2
H 0.1 0.1 0.1
H 0.0 0.1 0.0
H -0.3 0.1 0.3
H 0.0 0.0 -0.2
H -0.1 -0.1 -0.1
H 0.0 -0.2 0.1

Properties
Strongest force on any atom ... 4.6 eV/Å
ΔE to the lowest compared entry with this formula, charge and spin ... 25.23 kcal per mole
Charge ... +1
Calculated total energy ... -579.07047 a.u.



A cluster of 2 separate species, C12H21N2O7P in total, computed with the ωB97M-V functional and the def2-TZVPD basis.

Positions of all 43 atoms, in Å:
C1 0.596 -1.727 1.399
C2 1.632 -0.706 1.811
O1 1.472 0.483 0.994
P1 1.780 1.938 1.579
O2 2.435 1.926 2.894
C3 0.233 2.879 1.506
C4 -1.048 2.029 1.543
C5 -2.066 2.403 0.443
C6 -2.819 1.196 0.014
C7 -2.912 0.593 -1.164
C8 -3.703 -0.650 -1.001
O3 -4.049 -1.455 -1.803
O4 -4.023 -0.780 0.340
C9 -3.619 0.371 0.983
O5 -3.887 0.606 2.116
O6 2.599 2.615 0.391
C10 3.813 1.979 -0.055
C11 3.588 1.211 -1.344
H1 0.619 -2.564 2.098
H2 0.765 -2.090 0.386
H3 -0.404 -1.292 1.452
H4 2.642 -1.078 1.634
H5 1.536 -0.436 2.863
H6 0.276 3.508 0.616
H7 0.279 3.535 2.377
H8 -1.533 2.113 2.515
H9 -0.796 0.977 1.413
H10 -1.546 2.807 -0.427
H11 -2.768 3.154 0.810
H12 -2.459 0.885 -2.098
H13 4.204 1.337 0.739
H14 4.538 2.778 -0.204
H15 2.869 1.752 -1.961
H16 4.521 1.130 -1.901
H17 3.194 0.212 -1.157
N1 -1.537 -3.107 -2.667
C12 -0.968 -4.196 -2.066
N2 0.226 -4.603 -2.608
O7 -1.472 -4.764 -1.117
H18 -1.115 -2.633 -3.442
H19 -2.420 -2.778 -2.316
H20 0.667 -5.402 -2.192
H21 0.657 -4.158 -3.395

Cartesian forces, eV/Å:
C -0.1 0.2 0.1
C 0.0 0.0 -0.1
O 0.0 0.0 0.1
P 0.0 0.2 0.0
O 0.0 -0.1 0.0
C 0.0 0.0 0.2
C -0.1 0.0 0.0
C 0.1 -0.1 0.0
C -0.2 0.0 0.1
........




if (this.damageDealtToSoldier != null) 


protected virtual void OnDamageDealtToSoldier(object aUnit) 
    var handler = this.damageDealtToSoldier; 
    if (handler != null) 

在一些我已經指出了事件偵聽事件的重要性 - 我用來了解事件的來源沒有指出,如果「偵聽器」不存在,則處理程序將返回null 。除此之外,我認爲必須指出的另一件事是:必須在觸發事件的行之前聲明偵聽器,否則處理程序將返回null。希望我提出的這個話題能夠對其他迷失在「事件迷宮」中的人有所幫助。並且非常感謝Thomas Levesque爲我解決問題提供了領先點。 –
